Poetry International Poetry International

Arjen Duinker

Glittering passage

Glittering on the other side of fantasy,
Disguised as a wooden anchor,
Yesterday drifted through the canal
Outstanding obscurity.

Breathless the street checked its step,
Opposite equally breathless.
Finally the undistinguishable showed itself,
Floating through the canal without secrets.

First we looked warily,
With fear, fear of betrayal,
White lies, consolation, sentiment
That we thought to be symbolic.

But the way that it went, slowly
Through the unreal canal, obscurity.
‘Spectrum of sparks, be welcome!’
Briefly we thought ourselves pure.

Then the bridge was raised.
Panic broke our hearts.
Whispers, stammering, disbelief,
Cries of loathing, dismay.

In vain. Superior to the character
Of the crowd the glittering slid by,
Truly without being obscure,
To the other side of the bridge.

We vaguely saw a glow, memory
That faded slowly in the distance.
O formidable obscurity! Grumbling
And cursing we retreated once more into nature.

Glinstering op doortocht

Glinstering op doortocht

Glinstering aan gene zijde van de fantasie,
Vermomd als houten anker,
Gisteren dreef door het kanaal
Uitnemende onduidelijkheid.

Ademloos hield de straat zijn pas in,
Even ademloos de overkant.
Eindelijk toonde zich het niet te onderscheidene,
Drijvend door het kanaal zonder geheimen.

Eerst keken wij wantrouwend,
Met vrees, vrees voor bedrog,
Leugentjes om bestwil, troost, sentiment
Dat wij beschouwden als symbool.

Maar zoals ze daar ging, traag
Door het irreële kanaal, onduidelijkheid.
‘Spectrum van vonken, wees welkom!’
Even waanden wij ons zuiver.

Toen ging de brug open.
Paniek brak onze harten.
Gefluister, stamelen, ongeloof,
Kreten van walging, ontsteltenis.

Vergeefs. Superieur aan het karakter
Van de menigte gleed de glinstering,
Waarachtig zonder obscuur te zijn,
Naar gene zijde van de brug.

**Calculated molecules from another source follow:**
~~~
{"formula": "C63H147N11O26", "method": "the ωB97M-V functional and the def2-TZVPD basis", "symbols": ["C", "O", "C", "C", "O", "C", "C", "O", "C", "H", "H", "H", "H", "H", "H", "H", "H", "H", "H", "H", "H", "H", "H", "C", "O", "C", "C", "O", "C", "C", "O", "C", "H", "H", "H", "H", "H", "H", "H", "H", "H", "H", "H", "H", "H", "H", "C", "O", "C", "C", "O", "C", "C", "O", "C", "H", "H", "H", "H", "H", "H", "H", "H", "H", "H", "H", "H", "H", "H", "C", "O", "C", "C", "O", "C", "C", "O", "C", "H", "H", "H", "H", "H", "H", "H", "H", "H", "H", "H", "H", "H", "H", "C", "O", "C", "C", "O", "C", "C", "O", "C", "H", "H", "H", "H", "H", "H", "H", "H", "H", "H", "H", "H", "H", "H", "C", "O", "N", "C", "C", "H", "H", "H", "H", "H", "H", "H", "C", "O", "N", "C", "C", "H", "H", "H", "H", "H", "H", "H", "C", "O", "N", "C", "C", "H", "H", "H", "H", "H", "H", "H", "C", "O", "N", "C", "C", "H", "H", "H", "H", "H", "H", "H", "C", "O", "N", "C", "C", "H", "H", "H", "H", "H", "H", "H", "C", "O", "N", "C", "C", "H", "H", "H", "H", "H", "H", "H", "C", "O", "N", "C", "C", "H", "H", "H", "H", "H", "H", "H", "C", "O", "N", "C", "C", "H", "H", "H", "H", "H", "H", "H", "C", "O", "N", "C", "C", "H", "H", "H", "H", "H", "H", "H", "C", "O", "N", "C", "C", "H", "H", "H", "H", "H", "H", "H", "C", "O", "N", "C", "C", "H", "H", "H", "H", "H", "H", "H"], "xyz": [[12.1509, -7.9370, 3.3537], [12.3228, -8.5846, 2.0998], [11.9541, -9.9403, 2.2674], [10.4283, -10.1797, 2.0472], [9.6503, -9.6588, 3.0672], [9.7981, -10.5055, 4.2853], [8.9060, -9.8625, 5.3422], [9.4735, -8.6577, 5.7871], [8.7410, -8.0297, 6.8895], [12.5667, -6.9296, 3.3381], [12.4914, -8.3440, 4.3059], [11.0852, -7.9045, 3.5802], [12.4146, -10.3764, 3.1539], [12.5036, -10.3719, 1.4308], [10.2482, -11.2315, 1.8253], [10.1583, -9.5333, 1.2121], [10.7585, -10.3579, 4.7794], [9.6038, -11.5611, 4.0953], [8.7226, -10.5454, 6.1716], [7.9062, -9.6262, 4.9780], [8.4666, -8.7520, 7.6583], [7.7812, -7.7317, 6.4675], [9.2491, -7.1744, 7.3349], [10.8151, -9.7556, 8.9337], [9.9721, -9.4905, 10.0714], [10.5902, -9.1402, 11.2832], [9.8787, -7.8703, 11.9481], [8.5883, -8.1911, 12.2334], [7.8959, -6.9831, 12.6835], [6.5189, -7.3382, 13.2700], [6.6949, -8.3484, 14.3310], [6.7562, -7.8091, 15.7088], [11.7778, -10.0567, 9.3470], [11.1071, -8.9669, 8.2404], [10.5006, -10.5755, 8.2881], [11.6498, -8.9334, 11.1327], [10.5787, -9.9726, 11.9868], [9.8980, -7.0700, 11.2083], [10.4199, -7.6067, 12.8568], [7.7273, -6.3415, 11.8187], [8.5676, -6.4599, 13.3641], [5.8684, -7.8958, 12.5961], [6.0896, -6.3930, 13.6020], [7.2545, -8.4448, 16.4407], [5.7661, -7.5152, 16.0575], [7.4255, -6.9540, 15.6144], [13.0196, -6.7951, 7.1488], [14.3831, -6.8823, 7.1092], [15.0910, -7.6085, 6.0511], [16.6808, -7.3229, 6.0521], [17.0893, -5.8986, 6.0783], [17.2049, -5.5191, 7.4565], [17.6267, -4.0392, 7.6074], [18.2924, -3.6604, 8.7867], [19.6574, -4.0251, 8.8115], [12.4823, -6.0944, 6.5097], [12.7056, -6.4926, 8.1478], [12.5567, -7.7634, 6.9590], [14.7866, -7.4691, 5.0138], [14.8503, -8.6152, 6.3929], [17.1172, -7.5475, 5.0788], [17.2309, -7.8482, 6.8328], [17.8851, -6.0266, 8.1405], [16.2233, -5.4656, 7.9273], [16.6513, -3.5562, 7.6657], [18.1720, -3.7314, 6.7152], [20.2169, -3.6270, 7.9650], [19.7252, -5.0859, 8.5702], [20.2316, -3.8018, 9.7106], [2.1200, -1.9215, 8.0019], [2.5981, -3.1434, 7.5630], [1.6811, -4.2170, 7.5995], [2.4837, -5.3470, 6.7615], [3.2731, -6.2875, 7.5217], [4.6224, -6.0032, 7.8638], [5.4234, -7.1449, 8.5582], [4.8222, -7.4808, 9.8775], [3.7140, -8.1897, 9.7564], [2.1129, -1.8752, 9.0909], [1.1886, -1.5403, 7.5831], [2.7119, -1.0593, 7.6948], [0.8359, -3.9240, 6.9767], [1.2932, -4.5456, 8.5637], [3.1444, -4.8455, 6.0544], [1.7740, -6.0360, 6.3037], [4.6016, -5.1759, 8.5732], [5.1904, -5.6546, 7.0013], [6.4989, -7.0056, 8.6676], [5.4728, -8.0496, 7.9522], [2.8788, -7.8122, 9.1665], [3.1701, -8.2683, 10.6977], [3.9284, -9.1724, 9.3362], [3.7225, -8.0421, 19.2101], [4.2741, -9.0015, 20.1393], [3.9146, -8.7221, 21.5000], [2.4917, -9.1697, 21.7877], [1.5060, -8.0505, 21.5702], [0.1030, -8.4224, 21.6017], [-0.6367, -7.6928, 20.3974], [-0.7370, -6.3055, 20.6394], [0.5477, -5.7621, 20.4738], [2.8708, -8.3881, 18.6244], [4.4594, -7.8928, 18.4210], [3.4711, -7.0267, 19.5168], [4.0529, -7.6760, 21.7733], [4.6177, -9.3734, 22.0192], [2.3359, -9.7203, 22.7154], [2.2362, -9.7975, 20.9341], [-0.4247, -8.3040, 22.5481], [-0.1133, -9.4798, 21.4496], [-1.6925, -7.9565, 20.4593], [-0.2800, -8.0634, 19.4364], [1.0566, -6.2126, 19.6216], [1.1896, -5.7863, 21.3545], [0.2854, -4.7173, 20.3073], [3.2810, -8.8027, 14.9450], [3.1965, -8.1011, 15.9472], [2.2220, -9.2750, 14.3118], [2.2868, -9.8573, 12.9946], [0.9019, -8.9671, 14.9035], [4.2425, -9.0078, 14.4495], [1.6604, -10.7207, 12.7703], [3.2295, -10.1318, 12.5212], [1.7693, -9.1228, 12.3775], [0.9485, -8.5070, 15.8906], [0.3600, -8.3792, 14.1627], [0.1979, -9.7458, 15.1971], [6.8330, -12.1419, 15.8555], [7.0588, -12.9463, 14.9684], [6.9285, -12.4113, 17.1700], [6.4892, -11.4639, 18.2046], [7.2270, -13.7307, 17.6024], [6.6514, -11.0636, 15.7271], [7.3617, -11.1281, 18.7651], [5.7478, -11.8950, 18.8773], [6.0236, -10.5822, 17.7644], [7.7215, -14.2722, 16.7959], [7.7836, -13.7048, 18.5392], [6.3248, -14.3249, 17.7479], [12.8532, -5.3075, 12.1443], [13.1368, -6.4462, 12.2882], [13.7096, -4.2670, 12.2772], [13.2511, -2.8813, 12.1595], [15.1365, -4.5272, 12.4103], [11.8529, -5.0494, 11.7635], [13.8677, -2.2046, 11.5680], [13.3943, -2.5879, 13.1994], [12.2443, -2.8592, 11.7423], [15.6260, -4.2583, 11.4743], [15.6498, -3.8982, 13.1377], [15.3650, -5.5648, 12.6536], [13.5703, -11.2052, 7.0197], [12.4608, -11.2664, 6.5107], [14.7428, -11.6653, 6.5727], [15.9716, -11.5730, 7.3725], [14.7922, -12.4191, 5.3435], [13.7080, -10.7150, 7.9959], [16.1651, -12.5987, 7.6865], [15.9627, -10.9264, 8.2500], [16.8154, -11.1980, 6.7933], [14.9102, -11.8413, 4.4268], [15.5063, -13.2420, 5.3761], [13.8017, -12.8687, 5.2741], [8.9884, -2.9083, 13.7332], [9.7654, -3.1908, 12.8604], [8.9667, 
~~~

Wij zagen nog vaag een gloed, herinnering
Die langzaam doofde in de verte.
O formidabele onduidelijkheid! Morrend
En vloekend trokken wij ons weer terug in de natuur.

Glittering passage

Glittering on the other side of fantasy,
Disguised as a wooden anchor,
Yesterday drifted through the canal
Outstanding obscurity.

Breathless the street checked its step,
Opposite equally breathless.
Finally the undistinguishable showed itself,
Floating through the canal without secrets.

First we looked warily,
With fear, fear of betrayal,
White lies, consolation, sentiment
That we thought to be symbolic.

But the way that it went, slowly
Through the unreal canal, obscurity.
‘Spectrum of sparks, be welcome!’
Briefly we thought ourselves pure.

Then the bridge was raised.
Panic broke our hearts.
Whispers, stammering, disbelief,
Cries of loathing, dismay.

In vain. Superior to the character
Of the crowd the glittering slid by,
Truly without being obscure,
To the other side of the bridge.

We vaguely saw a glow, memory
That faded slowly in the distance.
O formidable obscurity! Grumbling
And cursing we retreated once more into nature.

Glittering passage

Glittering on the other side of fantasy,
Disguised as a wooden anchor,
Yesterday drifted through the canal
Outstanding obscurity.

Breathless the street checked its step,
Opposite equally breathless.
Finally the undistinguishable showed itself,
Floating through the canal without secrets.

## Molecular data from another source follow
Formula: C3H4O
Source: OMol25
Level of theory: the ωB97M-V functional and the def2-TZVPD basis

Output
- max |F| (eV Å⁻¹) = 5.25
- highest occupied orbital energy (eV) = -9.072
- energy relative to the best compared isomer or geometry (same formula, charge and spin) (eV) = 4.489
- frontier orbital gap (eV) = 9.76

Element x y z (Å)
C 0.653 0.229 -0.581
C -0.412 0.662 0.406
C -0.288 -0.721 0.092
O -1.483 -0.081 -0.232
H 0.508 0.434 -1.634
H 1.680 0.242 -0.242
H -0.540 1.297 1.250
H -0.119 -2.063 0.942

Forces on the atoms, in the same order (eV/Å):
C -0.143 0.114 -0.013
## So much for the molecular data

First we looked warily,
With fear, fear of betrayal,
White lies, consolation, sentiment
That we thought to be symbolic.

But the way that it went, slowly
Through the unreal canal, obscurity.
‘Spectrum of sparks, be welcome!’
Briefly we thought ourselves pure.

Then the bridge was raised.
Panic broke our hearts.
Whispers, stammering, disbelief,
Cries of loathing, dismay.

In vain. Superior to the character
Of the crowd the glittering slid by,
Truly without being obscure,
To the other side of the bridge.

We vaguely saw a glow, memory
That faded slowly in the distance.
O formidable obscurity! Grumbling
And cursing we retreated once more into nature.
Gemeente Rotterdam
Nederlands Letterenfonds
Stichting Van Beuningen Peterich-fonds
Prins Bernhard cultuurfonds
Lira fonds
J.E. Jurriaanse
Gefinancierd door de Europese Unie
Elise Mathilde Fonds
Stichting Verzameling van Wijngaarden-Boot
LantarenVenster – Verhalenhuis Belvédère